### Brief
It remains to say how many lines of the rows below hold the word "fractional", as a bare number.

### Source
/*
Theoretical powder XRD pattern of Rb2SnO12 for Cu Kα (λ = 1.5418 Å), from the GGA-PBE geometry in Alexandria.

Peak list (10 most intense, 10° ≤ 2θ ≤ 90°, in order of rising 2θ)
| (hkl) | d [Å] | 2theta | I_rel |
| --- | --- | --- | --- |
| 1 0 0 | 6.452 | 13.7 | 18 |
| 1 0 2 | 4.113 | 21.6 | 95 |
| 1 1 0 | 3.725 | 23.9 | 69 |
| 0 2 2 | 2.761 | 32.4 | 100 |
| 0 1 4 | 2.467 | 36.4 | 29 |
| 2 1 2 | 2.218 | 40.7 | 45 |
| 3 0 0 | 2.151 | 42.0 | 24 |
| 2 0 4 | 2.057 | 44.0 | 33 |
| 1 2 4 | 1.800 | 50.7 | 28 |
| 1 3 2 | 1.697 | 54.1 | 19 |

Structural model:
Lattice parameters (Å, degrees): 7.450 7.450 10.678 90.00 90.00 120.00
Atoms (fractional coordinates):
Rb (0.333, 0.667, 0.357)
Rb (0.333, 0.667, 0.857)
Rb (0.667, 0.333, 0.143)
Rb (0.667, 0.333, 0.643)
Sn (0.000, 0.000, 0.000)
Sn (0.000, 0.000, 0.500)
O (0.077, 0.272, 0.117)
O (0.077, 0.805, 0.617)
O (0.118, 0.399, 0.626)
O (0.118, 0.719, 0.126)
O (0.195, 0.272, 0.617)
O (0.195, 0.923, 0.117)
O (0.272, 0.077, 0.383)
O (0.272, 0.195, 0.883)
O (0.281, 0.399, 0.126)
O (0.281, 0.882, 0.626)
O (0.399, 0.118, 0.874)
O (0.399, 0.281, 0.374)
O (0.601, 0.719, 0.626)
O (0.601, 0.882, 0.126)
O (0.719, 0.118, 0.374)
O (0.719, 0.601, 0.874)
O (0.728, 0.805, 0.117)
O (0.728, 0.923, 0.617)
O (0.805, 0.077, 0.883)
O (0.805, 0.728, 0.383)
O (0.882, 0.281, 0.874)
O (0.882, 0.601, 0.374)
O (0.923, 0.195, 0.383)
O (0.923, 0.728, 0.883)

~~~~~

For NaYZrP2SO12, a PBE-relaxed structure gives the theoretical XRD peak list in this record (Cu Ka).
Intensities are scaled so that the largest is 100.

Structure:
```
NaYZrP2SO12
1.0
7.839 -4.515 0.000
7.839 4.515 0.000
-5.166 0.000 7.958
Na Y Zr P S O
2 2 2 4 2 24
Direct
0.242 0.758 0.500
0.758 0.242 0.000
0.089 0.606 0.060
0.606 0.089 0.560
0.394 0.894 0.947
0.894 0.394 0.447
0.002 0.205 0.755
0.205 0.002 0.255
0.701 0.788 0.753
0.788 0.701 0.253
0.288 0.501 0.753
0.501 0.288 0.253
0.030 0.173 0.275
0.034 0.361 0.910
0.131 0.475 0.601
0.173 0.030 0.775
0.178 0.838 0.234
0.242 0.973 0.096
0.262 0.527 0.905
0.307 0.665 0.770
0.347 0.453 0.232
0.361 0.034 0.410
0.453 0.347 0.732
0.475 0.131 0.101
0.527 0.262 0.405
0.530 0.809 0.775
0.622 0.742 0.095
0.665 0.307 0.270
0.670 0.962 0.736
0.742 0.622 0.595
0.760 0.861 0.408
0.809 0.530 0.275
0.838 0.178 0.734
0.861 0.760 0.908
0.962 0.670 0.236
0.973 0.242 0.596
```

Largest 8 diffraction maxima, in order of falling intensity, 2θ = 10–90°:
| d_spacing | I/Imax |
| --- | --- |
| 4.520 | 100 |
| 3.935 | 80 |
| 4.746 | 79 |
| 2.982 | 75 |
| 2.610 | 49 |
| 2.997 | 40 |
| 6.547 | 40 |
| 3.921 | 38 |

~~~~~

Structure and calculated PXRD pattern of CdSn2Pd5 (DFT lattice parameters and positions (PBE); Cu Kα (weighted mean of Kα1 and Kα2)).

a = 8.9566 Å, b = 8.9566 Å, c = 11.5561 Å
α = 90.00°, β = 90.00°, γ = 160.77°
Positions (direct):
Cd 0.1373 0.8627 0.7500
Cd 0.8627 0.1373 0.2500
Sn 0.1259 0.8741 0.0130
Sn 0.1259 0.8741 0.4870
Sn 0.8741 0.1259 0.5130
Sn 0.8741 0.1259 0.9870
Pd 0.0054 0.9946 0.6282
Pd 0.0054 0.9946 0.8718
Pd 0.1323 0.8677 0.2500
Pd 0.2619 0.7381 0.6119
Pd 0.2619 0.7381 0.8881
Pd 0.7381 0.2619 0.1119
Pd 0.7381 0.2619 0.3881
Pd 0.8677 0.1323 0.7500
Pd 0.9946 0.0054 0.1282
Pd 0.9946 0.0054 0.3718

Most intense lines, 2θ = 15–90°, low angle first:
Position (°2θ)	I_rel
30.3	65
37.2	100
40.9	36
46.2	9
46.3	54
47.1	35
51.0	17
62.0	12
72.0	10
74.7	45
77.0	11
83.6	11



Structure and calculated PXRD pattern of Cd2SnPd2 (DFT lattice parameters and positions (PBE); Cu Kα (weighted mean of Kα1 and Kα2)).

a = 4.5359 Å, b = 4.5359 Å, c = 5.7142 Å
α = 90.00°, β = 90.00°, γ = 120.00°
Positions (direct):
Cd 0.3333 0.6667 0.3721
Cd 0.6667 0.3333 0.6279
Sn 0.0000 0.0000 0.0000
Pd 0.3333 0.6667 0.8653
Pd 0.6667 0.3333 0.1347

Most intense lines, 2θ = 15–90°, low angle first:
Position (°2θ)	I_rel
15.5	11
22.6	13
27.6	25
39.0	100
39.7	91
56.9	32
70.1	13
71.6	32
72.1	15
79.3	7
83.7	8
85.7	10
*/

### Response
1